The Beginning Of Truth - 3 minutes read

I would like to start out by stating that every individual has been granted the gift of free will and has never been forced to believe anything that he or she chooses not to believe. And this is truly a gift.

Truth is one of the most enduring and constant attributes instilled in an individual at the moment of ones conception. It is a guiding force throughout ones life in so many ways, starting with the knowledge of what is right and what is wrong. We are constantly relying on certain truths to guide us and to help us to make the right choices and decisions in our lives.

When the Good Lord adds truth to our makeup when we are conceived it is of a supernatural essence. God is supernatural, while I am natural. Therefore something that is of supernatural origin cannot be fully explained in human terms. It just is... and I believe on this, by way of exercising my faith. Mankind continues to figure out so many things in life with his extraordinary intellect, but God is still the only Being that he can never reduce to any type of mathematical or scientific formula. And again that is because natural man cannot fully explain the supernatural.

-- begin --
Model i:
## HoPaGa2 (PBE)

Data for a relaxed structure of HoPaGa2.

The space group is Fm-3m (No. 225) and the conventional cell measures 7.125, 7.125 and 7.125 Å, with angles of 90.00, 90.00 and 90.00 degrees. Symmetry generates all atoms from Ho at (0.000, 0.000, 0.000), Pa at (0.000, 0.000, 0.500) and Ga at (0.250, 0.250, 0.250).

The volume comes out at 22.6 A^3/atom.

Model ii:
## HoPaGa2 (PBE)

Data for a relaxed structure of HoPaGa2.

The space group is P4/mmm (No. 123) and the conventional cell measures 3.286, 3.286 and 8.123 Å, with angles of 90.00, 90.00 and 90.00 degrees. Symmetry generates all atoms from Ho at (0.000, 0.000, 0.000), Pa at (0.000, 0.000, 0.500) and Ga at (0.500, 0.500, 0.248).

The volume comes out at 21.9 A^3/atom.

Tell me which of them is the most stable. Sure, it is model ii.

Model i:
## Ho2PaGa (PBE)

Data for a relaxed structure of Ho2PaGa.

The space group is P4/mmm (No. 123) and the conventional cell measures 4.698, 4.698 and 4.479 Å, with angles of 90.00, 90.00 and 90.00 degrees. Symmetry generates all atoms from Ho at (0.000, 0.500, 0.000), Pa at (0.000, 0.000, 0.500) and Ga at (0.500, 0.500, 0.500).

The volume comes out at 24.7 A^3/atom.

Model ii:
## Ho2PaGa (PBE)

Data for a relaxed structure of Ho2PaGa.

The space group is P4/mmm (No. 123) and the conventional cell measures 3.395, 3.395 and 8.747 Å, with angles of 90.00, 90.00 and 90.00 degrees. Symmetry generates all atoms from Ho at (0.000, 0.000, 0.221), Pa at (0.500, 0.500, 0.500) and Ga at (0.500, 0.500, 0.000).

The volume comes out at 25.2 A^3/atom.

Model iii:
## Ho2PaGa (PBE)

Data for a relaxed structure of Ho2PaGa.

The space group is R-3m (No. 166, hexagonal axes) and the conventional cell measures 3.2847, 3.2847 and 33.4965 Å, with angles of 90.00, 90.00 and 120.00 degrees. Symmetry generates all atoms from Ho at (0.0000, 0.0000, 0.0974), Pa at (0.0000, 0.0000, 0.0000) and Ga at (0.0000, 0.0000, 0.5000).

The volume comes out at 26.1 A^3/atom.

Tell me which of them is the most stable. Sure, it is model ii.

Model i:
## HoGa3Pd3 (PBE)

Data for a relaxed structure of HoGa3Pd3.

The space group is R-3 (No. 148, hexagonal axes) and the conventional cell measures 6.8865, 6.8865 and 18.1982 Å, with angles of 90.00, 90.00 and 120.00 degrees. Symmetry generates all atoms from Ho at (0.0000, 0.0000, 0.1612), Ga at (0.0230, 0.6097, 0.3768) and Pd at (0.0078, 0.7611, 0.5684).

The volume comes out at 17.8 A^3/atom.

Model ii:
## HoGa3Pd3 (PBE)

Data for a relaxed structure of HoGa3Pd3.

The space group is Pm-3n (No. 223) and the conventional cell measures 6.776, 6.776 and 6.776 Å, with angles of 90.00, 90.00 and 90.00 degrees. Symmetry generates all atoms from Ho at (0.000, 0.000, 0.000), Ga at (0.000, 0.250, 0.500) and Pd at (0.000, 0.500, 0.250).

The volume comes out at 22.2 A^3/atom.

Tell me which of them is the most stable. Sure, it is model i.

Model i:
## HoGa3Pd (PBE)

Data for a relaxed structure of HoGa3Pd.
-- stop --

So the starting point of truth in our lives begins at our birth as we begin to grow and develop into the natural human beings that He has created. We inherently know right from wrong, good from bad, and the truth from a lie.

Unfortunately, as we continue to grow from the innocence of childhood into young adulthood, our minds become exposed to many influences in life that are not always leading us in the right direction. Through our own choosing we can begin to exchange the truth for a lie. It is at that point that our wrong choices can begin to create problems for us. But the good news, that I have found, is that I can always change from believing in a lie, to believing in what is good for me. And that is the way that I recover, so to speak, from my wrong choices that are making my life difficult in some way.

As we continue to grow in our lives, through the teen years into maturation as young adults in our twenties, then into our thirties, we can always rely on what has been instilled in us to help us make the right choices. From childhood friends and the grade school years, into our first romantic relationships in high school, then onto our first jobs and continued education in college, we are always being guided by our internal voice. It will always speak to us when we stop and pause to listen to it. And that my friend is what I believe is the truth in all of us.